_Material_
=====
Entry 1:
The following is a GGA-PBE calculation of a relaxed LiNi2Sb crystal, from OQMD via LeMat-Bulk.

Summary:
**Total energy**: -72.45 eV per cell
**SG**: P4/mmm

Cell lengths 5.451, 5.451, 7.220 Å; angles 90.00, 90.00, 90.00 degrees
Fractional coordinates of all 16 atoms:
Ni  0.000  0.500  0.250
Ni  0.000  0.500  0.750
Ni  0.500  0.000  0.750
Sb  0.750  0.250  0.000
Li  0.750  0.750  0.000
Li  0.750  0.750  0.500
Ni  0.500  0.500  0.750
Li  0.250  0.250  0.500
Ni  0.000  0.000  0.250
Sb  0.250  0.750  0.500
Ni  0.500  0.000  0.250
Sb  0.750  0.250  0.500
Li  0.250  0.250  0.000
Ni  0.500  0.500  0.250
Sb  0.250  0.750  0.000
Ni  0.000  0.000  0.750

Entry 2:
The following is a GGA-PBE calculation of a relaxed Dy2LuAl5 crystal, from OQMD via LeMat-Bulk.

Summary:
**Total energy**: -34.94 eV per cell
**SG**: Amm2

Cell lengths 4.806, 6.337, 6.337 Å; angles 62.25, 90.00, 90.00 degrees
Fractional coordinates of all 8 atoms:
Dy  0.500  0.348  0.348
Al  0.500  0.304  0.847
Dy  0.000  0.655  0.655
Al  0.000  0.698  0.133
Al  0.000  0.133  0.698
Al  0.500  0.855  0.855
Lu  0.000  0.160  0.160
Al  0.500  0.847  0.304

Entry 3:
The following is a GGA-PBE calculation of a relaxed HfAl2Re2 crystal, from OQMD via LeMat-Bulk.

Summary:
**Energy relative to the lowest polymorph listed for this composition**: 91 meV per atom
**SG**: I4/mmm

Cell lengths 6.122, 6.122, 6.122 Å; angles 141.16, 141.16, 56.09 degrees
Fractional coordinates of all 5 atoms:
Re  0.606  0.606  0.000
Al  0.750  0.250  0.500
Al  0.250  0.750  0.500
Hf  0.000  0.000  0.000
Re  0.394  0.394  0.000

Entry 4:
The following is a GGA-PBE calculation of a relaxed Hf2CdPb2 crystal, from OQMD via LeMat-Bulk.

Summary:
**Energy relative to the lowest polymorph listed for this composition**: 28 meV per atom
**SG**: I4/mmm

Cell lengths 4.594, 4.594, 7.363 Å; angles 108.18, 108.18, 90.00 degrees
Fractional coordinates of all 5 atoms:
Pb  0.390  0.390  0.780
Pb  0.610  0.610  0.220
Hf  0.250  0.750  0.500
Hf  0.750  0.250  0.500
Cd  0.000  0.000  0.000

~~~~~

This record from Alexandria describes crystalline ScBr3 at its relaxed geometry. The functional is PBE-GGA.

Computed properties:
As for the space-group type: Fm-3m. The value obtained for the uncorrected energy is -3.616 eV/atom.

Geometry as POSCAR:
```
ScBr3
1.0
-0.155 -4.963 1.210
-2.996 -3.183 -2.648
2.085 -3.460 -3.131
Br Sc
3 1
direct
0.250 0.250 0.250 Br
0.750 0.750 0.750 Br
0.500 0.500 0.500 Br
0.000 0.000 0.000 Sc
```

***

This record from Alexandria describes crystalline ScBr3 at its relaxed geometry. The functional is PBE-GGA.

Computed properties:
As for the space-group type: Imm2. The value obtained for the uncorrected energy is -4.481 eV/atom.

Geometry as POSCAR:
```
ScBr3
1.0
7.097 -0.018 0.038
2.695 6.565 -0.038
-3.584 -5.236 3.180
Sc Br
1 3
direct
0.292 0.000 0.292 Sc
0.286 0.351 0.934 Br
0.006 0.500 0.506 Br
0.583 0.649 0.934 Br
```

***

This record from Alexandria describes crystalline ScBr3 at its relaxed geometry. The functional is PBE-GGA.

Computed properties:
As for the space-group type: P6_3/mmc. The value obtained for the uncorrected energy is -3.916 eV/atom.

Geometry as POSCAR:
```
ScBr3
1.0
8.872 0.000 0.000
-4.436 7.684 0.000
0.000 0.000 6.996
Br Sc
12 4
direct
0.500 0.000 0.000 Br
0.000 0.500 0.500 Br
0.257 0.129 0.250 Br
0.743 0.871 0.750 Br
0.500 0.000 0.500 Br
0.500 0.500 0.500 Br
0.871 0.129 0.250 Br
0.871 0.743 0.250 Br
0.000 0.500 0.000 Br
0.129 0.871 0.750 Br
0.129 0.257 0.750 Br
0.500 0.500 0.000 Br
0.667 0.333 0.750 Sc
0.000 0.000 0.000 Sc
0.000 0.000 0.500 Sc
0.333 0.667 0.250 Sc
```

***

This record from Alexandria describes crystalline ScBr at its relaxed geometry. The functional is PBE-GGA.

Computed properties:
As for the space-group type: P4/nmm. The value obtained for the uncorrected energy is -4.706 eV/atom.

Geometry as POSCAR:
```
ScBr
1.0
4.136 0.000 0.000
0.000 4.136 0.000
0.000 0.000 6.996
Br Sc
2 2
direct
0.250 0.250 0.283 Br
0.750 0.750 0.717 Br
=====
_Exercise_
Write out every line further above that contains the word "uncorrected".
_Reply_
As for the space-group type: Fm-3m. The value obtained for the uncorrected energy is -3.616 eV/atom.
As for the space-group type: Imm2. The value obtained for the uncorrected energy is -4.481 eV/atom.
As for the space-group type: P6_3/mmc. The value obtained for the uncorrected energy is -3.916 eV/atom.
As for the space-group type: P4/nmm. The value obtained for the uncorrected energy is -4.706 eV/atom.